Like many of you, we’re always spending plenty of time outside in our garden, dreaming and scheming about how to turn our yards into an oasis. This summer we wanted to try our hand at creating a magical butterfly garden!

So this week we’re featuring the beautiful, flower power Butterfly bush! This fast-growing deciduous shrub is identified by its long, spiked trusses – the bloom from summer to fall. Sometimes referred to as a “Summer Lilac” it gets its name for being a great source of nectar (food) for our winged friends.

Here are some things to consider when deciding if this plant will work in your landscape:
- Plant Type– Shrub
- Sun Exposure- Full Sun (require a minimum of 8 hours of bright sunlight)
- Soil– Fertile, well-drained soil
- Planting Time– Spring or Fall before frost
-- begin --
For MnSe2, a cell relaxed with GGA-PBE gives the theoretical XRD peak list in this record (Cu Kα, 1.54184 Å).
No peak broadening, texture or thermal motion is included.

The 12 most intense peaks (2θ = 10–80°), by angle:
d/Å	I_rel	index
6.844	100	0 0 2
3.422	14	0 0 4
2.946	20	0 2 1
2.762	85	1 1 2
2.517	55	0 2 3
2.263	32	0 2 4
2.028	34	1 1 5
1.820	21	0 2 6
1.743	13	2 0 0
1.728	36	1 3 1
1.641	12	0 2 7
1.433	14	2 2 3

Crystal structure
```
data_MnSe2
_chemical_formula_sum 'Mn4 Se8'
_cell_length_a 3.4862
_cell_length_b 6.0333
_cell_length_c 13.6889
_cell_angle_alpha 90.00
_cell_angle_beta 90.00
_cell_angle_gamma 90.00
_space_group_name_H-M_alt 'C m c e'
_space_group_IT_number 64
_space_group_name_Hall '-C 2ac 2'
loop_
_atom_site_label
_atom_site_fract_x
_atom_site_fract_y
_atom_site_fract_z
Mn1 0.0000 0.0000 0.0000
Se1 0.0000 0.1666 0.3949
```
-- stop --
- Bloom Time– Summer, Fall
- Flower Color– Purple
- Hardiness Zones– 5, 6, 7, 8, 9, 10
- Special Features– Attracts Birds, Attracts Butterflies

Caring for a Butterfly Bush:
- Water during the growth period and sparingly otherwise. In the summer, when rainfall is less than 1 inch per week- water.
- Avoid fertilizing butterfly bush as this will lead to more leaves and less flowers
- Deadhead to encourage new shoots and flower buds.
- Each spring, apply a thin layer of compost and mulch to retain moisture and control weeds.
The page is interrupted by records of crystals.
/*
Starting from the PBE+U geometry in Alexandria, the X-ray diffraction stick pattern of Li4Ti3Cr5O16 was computed for copper Kα.

Largest 10 diffraction maxima, by angle, 2θ = 5–70°:
- 2θ = 18.55°, intensity 56.1
- 2θ = 19.68°, intensity 100.0
- 2θ = 25.48°, intensity 28.0
- 2θ = 33.09°, intensity 25.7
- 2θ = 35.69°, intensity 35.0
- 2θ = 36.34°, intensity 34.7
- 2θ = 39.95°, intensity 35.2
- 2θ = 45.43°, intensity 50.1
- 2θ = 60.34°, intensity 21.0
- 2θ = 63.02°, intensity 26.3

Cell and atoms:
```
Li4Ti3Cr5O16
1.0
5.1046 -2.9592 0.0000
5.1046 2.9592 0.0000
-0.0382 0.0000 9.5666
Li Ti Cr O
4 3 5 16
direct
0.0000 0.0000 0.0000
0.0065 0.0065 0.5037
0.3353 0.3353 0.4006
0.6695 0.6695 0.8979
0.1736 0.1736 0.7232
0.3403 0.8352 0.2187
0.8352 0.3403 0.2187
0.1720 0.6648 0.7150
0.3398 0.3398 0.9886
0.6648 0.1720 0.7150
0.6694 0.6694 0.4910
0.8330 0.8330 0.2191
0.0043 0.0043 0.8145
0.0050 0.0050 0.3175
0.0432 0.4822 0.8452
0.1687 0.1687 0.1096
0.1750 0.6774 0.1074
0.3315 0.3315 0.6074
0.3327 0.8398 0.6079
0.4822 0.0432 0.8452
0.4817 0.4817 0.8397
0.5189 0.9623 0.3459
0.5231 0.5231 0.3439
0.6652 0.6652 0.1086
0.6774 0.1750 0.1074
0.8384 0.8384 0.6111
0.8398 0.3327 0.6079
0.9623 0.5189 0.3459
```

* * * * *

Record 1
Starting from a PBE-relaxed structure, the powder XRD pattern of Mg2AgMo was simulated for Cu Kα (λ = 1.5418 Å).
No peak broadening, texture or thermal motion is included.

Structure:
Cell: 2.8507 2.8507 8.7138 Å, 90.00 90.00 95.00°
Fractional positions:
Mg  0.0000  0.0000  0.2482
Mg  0.0000  0.0000  0.7518
Ag  0.5000  0.5000  0.5000
Mo  0.5000  0.5000  0.0000

Largest 12 diffraction maxima, by intensity, 10 to 80 degrees two-theta:
37.81 deg, I = 1000
20.38 deg, I = 450
31.50 deg, I = 305
41.45 deg, I = 191
43.04 deg, I = 171
73.20 deg, I = 133
52.98 deg, I = 133
47.19 deg, I = 130
75.41 deg, I = 123
61.28 deg, I = 114
64.59 deg, I = 97
65.77 deg, I = 92

Record 2
Starting from a PBE-relaxed structure, the powder XRD pattern of MgAg4Mo was simulated for Cu Kα (λ = 1.5418 Å).
No peak broadening, texture or thermal motion is included.

Structure:
Cell: 5.4545 5.4545 5.4545 Å, 60.00 60.00 60.00°
Fractional positions:
Mg  0.0000  0.0000  0.0000
Ag  0.3750  0.3750  0.3750
Ag  0.3750  0.3750  0.8750
Ag  0.3750  0.8750  0.3750
Ag  0.8750  0.3750  0.3750
Mo  0.7500  0.7500  0.7500

Largest 12 diffraction maxima, by intensity, 10 to 80 degrees two-theta:
38.71 deg, I = 1000
40.51 deg, I = 606
19.94 deg, I = 392
62.57 deg, I = 305
68.85 deg, I = 279
47.13 deg, I = 148
*/
- In winter spread mulch up to 6 inches deep around the trunk to nurture it through the cold weather
- New blooms show up on new wood, even if there is no die-back, cut them back to the ground every spring.
Next to the page, the page also holds crystal structures:
~~~
Record 1
Structure and calculated X-ray diffraction stick pattern of Mn3P6WO24 (a cell relaxed with PBE+U; Cu Kα (λ = 1.5418 Å)).
Kinematic intensities with the Lorentz-polarization factor, no thermal factor.

Cell and atoms:
Cell: 8.5146 8.5146 21.6209 Å, 90.00 90.00 120.00°
Space group R3 (No. 146, hexagonal axes)
One atom of each set of equivalent atoms:
Mn1 0.0000 0.0000 0.0000 [3 per cell]
Mn2 0.0000 0.0000 0.2149 [3 per cell]
Mn3 0.0000 0.0000 0.5013 [3 per cell]
P1 0.0012 0.2906 0.6046 [9 per cell]
P2 0.0109 0.7272 0.1082 [9 per cell]
W1 0.0000 0.0000 0.7160 [3 per cell]
O1 0.0292 0.8302 0.7656 [9 per cell]
O2 0.0328 0.1926 0.2690 [9 per cell]
O3 0.0366 0.2056 0.5475 [9 per cell]
O4 0.0372 0.8345 0.0484 [9 per cell]
O5 0.1650 0.4711 0.3299 [9 per cell]
O6 0.1676 0.7041 0.8330 [9 per cell]
O7 0.1732 0.4751 0.6122 [9 per cell]
O8 0.1739 0.6992 0.1127 [9 per cell]

Most intense lines, 2θ = 10–90°, by angle:
2θ/deg	d_spacing	I_rel
12.7	6.979	32
14.5	6.092	68
20.4	4.359	100
20.9	4.257	66
24.3	3.666	89
29.3	3.046	69
32.6	2.750	47
36.3	2.477	24
36.6	2.458	23
46.8	1.940	20



Record 2
Structure and calculated X-ray diffraction stick pattern of LiV2P4H2O16 (a cell relaxed with PBE+U; Cu Kα (λ = 1.5418 Å)).
Kinematic intensities with the Lorentz-polarization factor, no thermal factor.

Cell and atoms:
Cell: 7.7462 7.9011 9.7635 Å, 89.60 67.11 89.87°
Space group P1 (No. 1)
One atom of each set of equivalent atoms:
Li1 0.0000 0.0000 0.0000 [1 per cell]
Li2 0.3012 0.2682 0.4472 [1 per cell]
V1 0.1432 0.6461 0.4804 [1 per cell]
V2 0.1535 0.6266 0.9719 [1 per cell]
V3 0.6432 0.1387 0.9732 [1 per cell]
V4 0.6643 0.1323 0.4707 [1 per cell]
P1 0.3866 0.9820 0.2911 [1 per cell]
P2 0.3897 0.9808 0.7909 [1 per cell]
P3 0.4162 0.4849 0.1545 [1 per cell]
P4 0.4180 0.4828 0.6520 [1 per cell]
P5 0.8754 0.7810 0.8009 [1 per cell]
P6 0.8768 0.7804 0.2937 [1 per cell]
P7 0.9175 0.2910 0.6562 [1 per cell]
P8 0.9190 0.2830 0.1518 [1 per cell]
H1 0.1597 0.1258 0.2335 [1 per cell]
H2 0.1635 0.1292 0.7319 [1 per cell]
H3 0.6371 0.6284 0.2142 [1 per cell]
H4 0.6396 0.6278 0.7127 [1 per cell]
O1 0.0077 0.8083 0.1283 [1 per cell]
O2 0.0142 0.7965 0.6288 [1 per cell]
O3 0.0870 0.1727 0.1320 [1 per cell]
O4 0.0965 0.1945 0.6287 [1 per cell]
O5 0.2060 0.0793 0.8163 [1 per cell]
O6 0.2084 0.0894 0.3201 [1 per cell]
O7 0.2879 0.4680 0.3240 [1 per cell]
O8 0.2890 0.4601 0.8172 [1 per cell]
O9 0.3003 0.5783 0.5754 [1 per cell]
O10 0.3020 0.5784 0.0772 [1 per cell]
O11 0.3248 0.8061 0.3667 [1 per cell]
O12 0.3348 0.8066 0.8602 [1 per cell]
O13 0.4654 0.3073 0.0889 [1 per cell]
O14 0.4673 0.3081 0.5717 [1 per cell]
O15 0.4919 0.0803 0.3733 [1 per cell]
O16 0.4990 0.0793 0.8680 [1 per cell]
O17 0.5121 0.9626 0.1265 [1 per cell]
O18 0.5169 0.9739 0.6228 [1 per cell]
O19 0.5953 0.5849 0.1286 [1 per cell]
O20 0.5988 0.5786 0.6259 [1 per cell]
O21 0.6991 0.6876 0.3200 [1 per cell]
O22 0.7027 0.6889 0.8133 [1 per cell]
O23 0.7828 0.2932 0.3218 [1 per cell]
~~~
- Even where winters are mild enough for the stems to survive, prune severely to stimulate abundant growth on which flowers are borne.
When incorporating into a Butterfly Garden, keep in mind:
- This shrub is not a “host plant” for butterflies in that it does not support butterfly reproduction and lifecycle.
- Caterpillars do not feed on butterfly bushes; rather, it only provides nectar to adult butterflies.
- Be sure to add native host plants such as milkweed, aster, and dill if you want the butterflies to stay.
Looking to attract a certain butterfly?
- Tiger Swallowtail like lilacs or bee balm; nearby willow, alder, aspen or apple trees can host larva.
- Painted Ladies like aster, cosmos or zinnia; host plants include lupines, native thistle, mallow or hollyhock.
- Monarchs like milkweed, lilac, goldenrod and cosmos; host plants include the milkweed family.
Psssst - All plants are 30% OFF when you shop in the garden centre! Don't miss out on these savings.
- https://davidsuzuki.org/queen-of-green/how-to-create-a-butterfly-garden/
- https://www.almanac.com/plant/butterfly-bush